Thursday, November 8, 2001
  • Mr. BOEHLERT. Mr. Speaker, as Chairman of the House Science Committee, I rise in strong support of the FY 2002 VA, HUD and Independent Agencies Appropriations Conference Report. My good friends Chairman WALSH, and Ranking Minority Member MOLLOHAN have put together a conference report that is very good for science, good for the space program, and good for the environment. I thank them for their outstanding leadership.
  • Chairman WALSH shares my belief that basic research provides the foundation for economic growth and for the tremendous advances we have made in areas like biomedical research. The appropriation for the National Science Foundation contained within this conference report reflects these beliefs. Chairman WALSH is to be commended for the more than 8 percent increase that he has provided for the Foundation.
  • The bill also contains funding for the National Mathematics and Science Partnerships Program that was proposed by President Bush and that is authorized by my bill–H.R. 1858–that was unanimously reported out of the Science Committee. This program will bring colleges and universities and school districts together to form partnerships to improve the quality of elementary and secondary math and science education. I look forward to working closely with Chairman WALSH and NSF to see that this

____________
No. 1
Here is a geometry-optimized K4Ho2MgNb10O30 structure from the Materials Project database. Energies are from PBE. Values from VASP.

Geometry as Quantum ESPRESSO input:
```
&SYSTEM
  ibrav = 0, nat = 47, ntyp = 5
/
ATOMIC_SPECIES
K 39.10 K.upf
Ho 164.93 Ho.upf
Mg 24.30 Mg.upf
Nb 92.91 Nb.upf
O 16.00 O.upf
CELL_PARAMETERS angstrom
3.945 0.000 0.000
0.000 8.845 9.535
0.000 -8.845 9.535
ATOMIC_POSITIONS crystal
K 0.000 0.000 0.000
K 0.000 0.415 0.415
K 0.000 0.527 0.874
K 0.000 0.874 0.527
Ho 0.000 0.178 0.707
Ho 0.000 0.707 0.178
Mg 0.500 0.308 0.308
Nb 0.500 0.124 0.464
Nb 0.500 0.156 0.156
Nb 0.500 0.269 0.890
Nb 0.500 0.410 0.627
Nb 0.500 0.464 0.124
Nb 0.500 0.627 0.410
Nb 0.500 0.695 0.695
Nb 0.500 0.757 0.976
Nb 0.500 0.890 0.269
Nb 0.500 0.976 0.757
O 0.000 0.101 0.471
O 0.000 0.152 0.152
O 0.000 0.260 0.856
O 0.000 0.370 0.615
O 0.000 0.471 0.101
O 0.000 0.615 0.370
O 0.000 0.678 0.678
O 0.000 0.746 0.992
O 0.000 0.856 0.260
O 0.000 0.992 0.746
O 0.500 0.002 0.170
O 0.500 0.085 0.617
O 0.500 0.108 0.817
O 0.500 0.158 0.310
O 0.500 0.170 0.002
O 0.500 0.272 0.463
O 0.500 0.278 0.722
O 0.500 0.310 0.158
O 0.500 0.392 0.955
O 0.500 0.463 0.272
O 0.500 0.494 0.494
O 0.500 0.518 0.708
O 0.500 0.617 0.085
O 0.500 0.680 0.842
O 0.500 0.708 0.518
O 0.500 0.722 0.278
O 0.500 0.817 0.108
O 0.500 0.842 0.680
O 0.500 0.889 0.889
O 0.500 0.955 0.392
```

Computed properties:
- crystal system = orthorhombic
- symmetry = Amm2
- VASP energy (Ry/atom) = -0.6010
- E_form (eV/atom) = -2.985
- energy with MP2020 corrections (eV per atom) = -8.616



No. 2
Here is a geometry-optimized K4Ho2MgNb10O30 structure from the Materials Project database. Energies are from PBE. Values from VASP.

Geometry as Quantum ESPRESSO input:
```
&SYSTEM
  ibrav = 0, nat = 47, ntyp = 5
/
ATOMIC_SPECIES
K 39.10 K.upf
Ho 164.93 Ho.upf
Mg 24.30 Mg.upf
Nb 92.91 Nb.upf
O 16.00 O.upf
CELL_PARAMETERS angstrom
12.901 0.000 0.000
0.000 3.970 0.000
-0.206 0.000 12.930
ATOMIC_POSITIONS crystal
K 0.000 0.000 0.000
K 0.146 0.000 0.508
K 0.476 0.000 0.843
K 0.660 0.000 0.363
Ho 0.287 0.000 0.188
Ho 0.846 0.000 0.691
Mg 0.695 0.000 0.056
Nb 0.043 0.500 0.750
Nb 0.099 0.500 0.260
Nb 0.251 0.500 0.963
Nb 0.320 0.500 0.671
Nb 0.392 0.500 0.385
Nb 0.518 0.500 0.091
Nb 0.604 0.500 0.594
Nb 0.747 0.500 0.870
Nb 0.831 0.500 0.170
Nb 0.879 0.500 0.467
O 0.015 0.000 0.745
O 0.033 0.500 0.386
O 0.112 0.500 0.885
O 0.121 0.000 0.236
O 0.158 0.500 0.659
O 0.216 0.500 0.114
O 0.248 0.500 0.304
O 0.249 0.000 0.987
O 0.312 0.500 0.817
O 0.318 0.000 0.660
O 0.319 0.500 0.506
O 0.390 0.000 0.344
O 0.404 0.500 0.995
O 0.432 0.500 0.207
O 0.477 0.500 0.671
O 0.528 0.500 0.448
O 0.541 0.000 0.075
O 0.614 0.000 0.592
O 0.617 0.500 0.938
O 0.669 0.500 0.144
O 0.714 0.500 0.709
O 0.739 0.500 0.501
O 0.756 0.000 0.854
O 0.817 0.000 0.153
O 0.818 0.500 0.004
O 0.827 0.500 0.316
O 0.890 0.000 0.476
O 0.892 0.500 0.800
O 0.934 0.500 0.612
O 0.983 0.500 0.158
```

Computed properties:
- crystal system = monoclinic
____________

    program is properly implemented.

  • I want to particularly thank the conferees for including funding for the Noyce Scholarship Program. Named for the co-founder of Intel, this program provides scholarships to talented mathematics, science, and engineering students in exchange for a commitment to teach two years for each year of scholarship. I am passionately committed to attracting young people to the profession of teaching and look forward to welcoming the first class of Noyce Scholars.
  • I also want to commend the Committee for providing funding for the Tech Talent Act that I introduced on October 15, of this year. This program will encourage colleges and universities to think more creatively about how they educate our future scientists, mathematicians and engineers.
  • The conferees are also to be commended for a bill that protects and expands NASA’s scientific programs in Science, Aeronautics, and Technology while striking the right balance for the Space Station. This bill sends a clear signal that Congress is not going to bail out NASA for its management failures. It also makes clear that we’re willing to work with the Administration to identify additional resources to improve station capabilities, if we see the right management reforms and performance improvements

    at NASA.

  • Yesterday, the House Science Committee heard testimony from Tom Young, the Chairman of the International Space Station (ISS) Management and Cost Evaluation (IMCE) Task Force and Sean O’Keefe , the Deputy Director of the Office of Management and Budget. The Task Force concluded that without significant management and budget reforms, NASA would not be able to complete the U.S. Core Complete station within the budget that was agreed upon earlier this year. Mr. Young and Mr. O’Keefe recommended, and

    I concur, the NASA must be required to demonstrate to Congress that it can manage the U.S. Core Complete Station–both on time and on budget–before any decisions are made to expand the capabilities of the station.

  • I also want to stress that the ISS was intended to be a research platform that would permit scientists to carry out research that could only be conducted in a space environment. It is important that we not lose this focus upon science and that we closely examine the research program that will be supported by the station. The Science Committee has asked the National Academy of Science to review this research program and I look forward to their findings. I concur with the conferees’ recommendation

    that this study be expanded to evaluate the research programs that could be conducted on the ISS with a three- or a six-person crew.

  • I particularly appreciate the Committee’s commitment to new space technology and its effort to bridge the gap between NASA and the Air Force. By directing a modest amount of funding to the Air Force Research Lab, the bill encourages NASA and the Air Force to pool their efforts on technologies that will benefit both agencies and the American people. Space based radar technology, for example, is vital to our national security, but also has immense applications in Earth science. A development program

    that reduces the cost of synthetic aperture radar technology will benefit both.

  • Similarly, the bistatic radar technology developed at the Rome Research Laboratory has immense potential for upgrading our national launch range tracking capabilities at a low cost. By demonstrating this technology, we may finally break the logjam that has undermined our space launch competitiveness.
  • The conferees have also, at my request, addressed a matter that is of great importance to me–the LANDSAT Data Continuity Mission.The Land Remote Sensing Policy Act of 1992 (P.L. 102-555) directs the LANDSAT Program to consider options, with preference given to a commercial solution, to maintain the continuity of LANDSAT data beyond LANDSAT 7.
  • While NASA’s Earth Science Program has responded to several of my concerns, I continue to be deeply concerned that NASA’s acquisition strategy for the LANDSAT Data Continuity Mission (LDCM) places too much emphasis on government satellite engineering and design during the formulation phase of the program. I urge that the Director of the Office of Science and Technology Policy continue to review this program to ensure that preference is given to technically and economically sound commercial data

### The piece is interrupted by records of crystals
<<<
i | Computed, not measured: a geometry-optimized CaMn4O8 structure at the GGA+U level of DFT.

Unit cell a=5.9906 b=5.9906 c=16.8925 alpha=90.00 beta=90.00 gamma=120.00
Space group R-3m (No. 166, hexagonal axes)
Inequivalent atoms, fractional coordinates:
Ca (0.0000, 0.0000, 0.0000) [3 per cell]
Mn (0.0000, 0.0000, 0.5000) [3 per cell]
Mn (0.0000, 0.5000, 0.5000) [9 per cell]
O (0.0000, 0.0000, 0.2250) [6 per cell]
O (0.0286, 0.5143, 0.7728) [18 per cell]

=====

ii | Computed, not measured: a geometry-optimized CaMn4O8 structure at the GGA+U level of DFT.

Unit cell a=5.835 b=5.877 c=5.973 alpha=89.40 beta=62.43 gamma=74.00
Space group P-1 (No. 2)
Inequivalent atoms, fractional coordinates:
Ca (0.000, 0.000, 0.000) [1 per cell]
Mn (0.001, 0.499, 0.746) [2 per cell]
Mn (0.491, 0.525, 0.255) [2 per cell]
O (0.213, 0.313, 0.906) [2 per cell]
O (0.221, 0.333, 0.400) [2 per cell]
O (0.246, 0.691, 0.134) [2 per cell]
O (0.254, 0.682, 0.652) [2 per cell]

=====

Winner for stability: ii

=====

i | Computed, not measured: a geometry-optimized CaMnP2O7 structure at the GGA+U level of DFT.

Unit cell a=7.461 b=8.978 c=9.344 alpha=90.00 beta=115.57 gamma=90.00
Space group P2_1/c (No. 14)
Inequivalent atoms, fractional coordinates:
Ca (0.213, 0.053, 0.348) [4 per cell]
Mn (0.272, 0.069, 0.886) [4 per cell]
P (0.035, 0.739, 0.970) [4 per cell]
P (0.442, 0.728, 0.259) [4 per cell]
O (0.024, 0.110, 0.650) [4 per cell]
O (0.068, 0.614, 0.401) [4 per cell]
O (0.107, 0.245, 0.952) [4 per cell]
O (0.243, 0.676, 0.104) [4 per cell]
O (0.399, 0.239, 0.304) [4 per cell]
O (0.405, 0.627, 0.824) [4 per cell]
O (0.480, 0.595, 0.374) [4 per cell]

=====

ii | Computed, not measured: a geometry-optimized CaMnP2O7 structure at the GGA+U level of DFT.

Unit cell a=6.635 b=6.667 c=6.819 alpha=66.26 beta=86.18 gamma=82.37
Space group P-1 (No. 2)
Inequivalent atoms, fractional coordinates:
Ca (0.142, 0.226, 0.330) [2 per cell]
Mn (0.350, 0.397, 0.733) [2 per cell]
P (0.146, 0.728, 0.248) [2 per cell]
P (0.369, 0.860, 0.828) [2 per cell]
O (0.019, 0.397, 0.784) [2 per cell]
O (0.070, 0.881, 0.360) [2 per cell]
O (0.227, 0.891, 0.021) [2 per cell]
O (0.266, 0.709, 0.758) [2 per cell]
O (0.326, 0.553, 0.362) [2 per cell]
O (0.369, 0.096, 0.660) [2 per cell]
O (0.418, 0.241, 0.077) [2 per cell]

=====

Winner for stability: ii


1.
Computed, not measured: an optimized crystal structure of LaSmB12 at the GGA-PBE level of DFT.

Cell and atoms, written as POSCAR:
```
LaSmB12
1.0
0.000 4.138 4.138
4.138 0.000 4.138
4.138 4.138 0.000
La Sm B
1 1 12
direct
0.500 0.500 0.500
0.000 0.000 0.000
0.400 0.100 0.100
0.900 0.600 0.600
0.400 0.400 0.100
0.900 0.900 0.600
0.100 0.400 0.100
0.600 0.900 0.600
0.100 0.100 0.400
0.600 0.600 0.900
0.400 0.100 0.400
0.900 0.600 0.900
0.100 0.400 0.400
0.600 0.900 0.900
```

Computed properties:
As for the calculated total energy: -6.921 eV per atom. The calculation puts the density at 4.909 g/cm³.


2.
>>>
### So much for the records of crystals

    buy proposals that will meet our nation’s data continuity needs. I applaud the conferees for including language in the conference report that restates our expectation that NASA will pursue commercial data purchase approaches to all Earth Science Program Announcements for Opportunity.

  • Let me turn for a moment to the budget for the Environmental Protection Agency, an agency that Congress should elevate to cabinet level status. I appreciate the efforts of Chairman WALSH and his colleagues in the House and Senate to provide a responsible budget to help meet the nation’s environmental needs. On the whole, the conference report is good news for EPA. Clearly, many of us would prefer to see higher funding levels for some of the agency’s programs, but the conferees have done

    an admirable job of balancing competing needs and working within difficult fiscal constraints.

  • As Chairman of the Science Committee, I am particularly pleased the bill increases funding for the Science and Technology account from $640 million in the budget request to $698 million.
  • Admittedly much of this funding is for site-specific or project-specific activities. Even so, I think it is important to continue a trend of increasing agency resources for basic and applied research, including drinking water research under the Safe Drinking Water Act.
  • Mr. Speaker, the recent experiences with arsenic confirm the importance of science in making key regulatory decisions. I commend the Administration and the conferees in advancing the effort to replace the 50 parts per billion standard with a more protective 10 parts per billion standard. I hope Congress will provide additional funding to research and develop more cost-effective technologies to meet the SDWA standards as contemplated by Administrator Whitman.
  • As a member of the Transportation and Infrastructure Committee and the Congressional Water Infrastructure Caucus, I am pleased the conference report rejects the proposed cut to the Clean Water SRF but I’m disappointed it doesn’t provide more than $1.35 billion for the program. I appreciate the constraints facing the conferees but would encourage the Appropriations Committee to find a way to fund some of the important water infrastructure and ecosystem restoration programs, such as the new sewer

    overflow control grants program and the reauthorized Clean Lakes program. I hope there are opportunities down the road to target assistance for such efforts.

(These materials data were left in the piece by mistake)
+++
1.
# Sm2MnNiO6

A relaxed Sm2MnNiO6 crystal (PBE with a Hubbard U, the Materials Project).

a = 5.3705 Å, b = 5.6332 Å, c = 7.6772 Å
α = 90.00°, β = 89.76°, γ = 90.00°
Positions (direct):
O  0.0965  0.4709  0.2589
O  0.9035  0.5291  0.7411
O  0.7089  0.3090  0.4520
O  0.2911  0.6910  0.5480
O  0.8122  0.7875  0.4478
O  0.7911  0.8090  0.0480
O  0.2089  0.1910  0.9520
O  0.6878  0.2875  0.0522
O  0.4035  0.9709  0.2411
O  0.3122  0.7125  0.9478
O  0.1878  0.2125  0.5522
O  0.5965  0.0291  0.7589
Mn  0.5000  0.0000  0.0000
Mn  0.0000  0.5000  0.5000
Ni  0.5000  0.0000  0.5000
Ni  0.0000  0.5000  0.0000
Sm  0.0164  0.9358  0.7509
Sm  0.4836  0.4358  0.7491
Sm  0.9836  0.0642  0.2491
Sm  0.5164  0.5642  0.2509

Calculated values
* SG: P2_1/c, No. 14

---

2.
# Mn3Ni3Te2O16

A relaxed Mn3Ni3Te2O16 crystal (PBE with a Hubbard U, the Materials Project).

a = 5.8819 Å, b = 5.8119 Å, c = 9.1907 Å
α = 90.00°, β = 91.70°, γ = 119.61°
Positions (direct):
Ni  0.6620  0.8310  0.2108
Ni  0.8325  0.1687  0.7102
Ni  0.8325  0.6638  0.7102
O  0.1787  0.8338  0.5962
O  0.5011  0.4691  0.8467
O  0.6754  0.8377  0.5920
O  0.4674  0.9617  0.3464
O  0.8354  0.1722  0.0952
O  0.9585  0.4793  0.8442
O  0.0399  0.5199  0.3366
O  0.3422  0.1711  0.1017
O  0.0085  0.0042  0.8027
O  0.0158  0.0079  0.3051
O  0.4674  0.5058  0.3464
O  0.1787  0.3449  0.5962
O  0.6573  0.3287  0.6141
O  0.8354  0.6632  0.0952
O  0.3139  0.6570  0.1078
O  0.5011  0.0321  0.8467
Mn  0.1717  0.8340  0.2113
Mn  0.3371  0.1685  0.7133
Mn  0.1717  0.3377  0.2113
Te  0.6728  0.3364  0.9849
Te  0.3430  0.6715  0.4902

Calculated values
* SG: Cm, No. 8

---

3.
# Ti2MnNiO6

A relaxed Ti2MnNiO6 crystal (PBE with a Hubbard U, the Materials Project).

a = 5.1334 Å, b = 5.1335 Å, c = 9.9153 Å
α = 90.00°, β = 105.00°, γ = 120.00°
Positions (direct):
O  0.0366  0.6931  0.1300
O  0.2297  0.9262  0.8663
O  0.7865  0.0934  0.1300
O  0.4369  0.8435  0.6300
O  0.4369  0.3435  0.1300
O  0.7866  0.5934  0.6300
O  0.0366  0.1932  0.6300
O  0.9401  0.8035  0.3663
O  0.9401  0.3035  0.8663
O  0.5628  0.6366  0.8663
O  0.2297  0.4262  0.3663
O  0.5628  0.1366  0.3663
Ni  0.6486  0.3243  0.9729
Ni  0.6486  0.8243  0.4728
Ti  0.8561  0.4281  0.2842
Ti  0.1456  0.0728  0.2184
Ti  0.8561  0.9281  0.7842
Ti  0.1456  0.5728  0.7184
Mn  0.3571  0.6786  0.0357
Mn  0.3572  0.1786  0.5357

---

4.
# Mn2V3NiO8

A relaxed Mn2V3NiO8 crystal (PBE with a Hubbard U, the Materials Project).

a = 6.0990 Å, b = 6.0821 Å, c = 10.4919 Å
α = 105.81°, β = 105.43°, γ = 60.85°
Positions (direct):
O  0.6613  0.1902  0.0751
O  0.4621  0.9364  0.2992
O  0.4085  0.9704  0.8020
O  0.6875  0.7035  0.0797
O  0.2164  0.6548  0.0730
O  0.9638  0.4348  0.7999
O  0.7101  0.7034  0.5782
O  0.2095  0.2045  0.0787
O  0.9374  0.9215  0.7953
O  0.1629  0.6886  0.5758
O  0.1868  0.2030  0.5795
O  0.9080  0.4731  0.3030
O  0.4156  0.4206  0.7962
O  0.4381  0.4219  0.2955
O  0.7171  0.1519  0.5721
O  0.9148  0.9215  0.2969
Ni  0.8125  0.8124  0.4375
+++

  • I would also continue to note my concern with the Superfund program. The bill provides $1.27 billion. The Appropriators are doing their
    best under the circumstances. Congress needs to change the circumstances; comprehensive reform and, at a minimum, a reauthorization of the Corporate Environmental Income Tax (which expired on December 31, 1995) should be the next course of action.
  • Mr. Speaker, this is a good bill for science, a good bill for the space program, and a good bill for the environment. It aptly illustrates the tremendous leadership provided by my good friend from New York, Chairman WALSH, and I urge my colleagues to support it.